December 27, 2023

Sitrep for Dec. 25-27, 2023 (as of 8 a.m. UTC+3)

Strike on the Novocherkassk Landing Ship

On the night of Dec. 26, the Ukrainian Air Force launched a missile strike on Feodosia. The target was the Novocherkassk landing ship docked in the port. Based on the photos of the aftermath that emerged in the morning, it is evident that the ship was almost completely destroyed. Eyewitness videos captured a massive column of flame and secondary detonations. Fragmented ship hull pieces were found scattered several hundred meters from the port, suggesting that the landing ship cargo detonated, possibly containing artillery rounds or loitering munitions.

Mark Krutov, editor of the Radio Free Europe/Radio Liberty's news service, analyzed satellite images of the port before and after the strike. He discovered that, in addition to the Novocherkassk landing ship, the T-43 class training vessel UTS-150 partially sank, and a warehouse near the pier was destroyed.

Sergey Aksyonov, the Russian-appointed head of Crimea, reported that one person was killed, and two (four according to other reports) were injured as a result of the strike. In most similar cases, the number of casualties may be significantly higher than reported as a significant portion of the ship's crew was likely on board at the time of the strike, as reported by the Dos’ye Shpiona [Spy Dossier] Telegram channel. Following the sitrep, the ASTRA Telegram channel found posts expressing condolences for the crew of the landing ship, which reportedly consisted of 77 conscripts and contract sailors. At the time of publication, information on 33 missing and 19 injured servicemen has been confirmed. Information on four civilians injured and one port security guard killed has also been verified.

As former Norwegian officer and independent military expert Tord Are Iversen of Lookout has pointed out, while the loss of another large landing ship may have reduced Russian maritime transport capabilities, it is unlikely to significantly impact logistics and the course of combat operations, since the majority of military cargo is transported via the Crimean railway bridge.

Nevertheless, it is surprising that this shipment of ammunition was transported by sea. This decision could either be attributed to a desire to deliver a large amount of cargo in one go, or to the fact that the ammunition first arrived by sea in Novorossiysk, possibly from Iran (if the hypothesis about the ship carrying Shahed-136 (Geran-2) loitering munition is correct), from where the landing ship departed for Feodosia. Additionally, it is possible that should a significant portion of the Black Sea Fleet’s landing ships be destroyed, Russia might resort to using civilian vessels to transport military cargo.

Feodosia is home to several battalions of advanced Russian S-400 air defense systems. A few days ago, the Dos’ye Shpiona Telegram channel reported a peculiar incident when false targets appeared on the radar of one of the systems, prompting it to launch several missiles. Therefore, it is possible that S-400 operators mistook the missiles headed for the port of Feodosia for another radar malfunction. Alternatively, the radar equipment may have been undergoing maintenance after a malfunction a few days earlier. It is also worth noting that many sources indicate that Dec. 26 is Air Defense Forces Day. Perhaps air defense operators were celebrating the occasion, leading to decreased vigilance. However, other sources indicate that Air Defense Forces Day is celebrated in April.

Frontline Situation Update

Russia’s Minister of Defense Sergei Shoigu announced to Vladimir Putin the seizure of Marinka by the Russian Armed Forces. DeepState also reports the town's complete destruction and capture. General Valerii Zaluzhnyi, Commander-in-Chief of the AFU, revealed that Ukrainian forces had to retreat, fortifying defensive positions within and around Marinka. The town now lacks intact homes and nearly any undamaged trees due to prolonged attacks. For the RuAF, this advance provides access to Novomykhailivka from the northern flank, potentially facilitating an offensive towards Vuhledar.

The 150th Motor Rifle Division played a decisive role in the capture of Marinka, as reported by the 5th Brigade of the "DPR" People's Militia. The mention of the Akhmat special forces unit is notably absent, despite earlier claims by Apti Alaudinov and Chechen leader Ramzan Kadyrov stating their active participation in the battles for this settlement.

A photo from Avdiivka shows the use of wire obstacles on the frontline, a simple yet effective means, even against tanks.

During the briefing, Zaluzhnyi commented on the situation in Avdiivka, suggesting that the Russian Army could concentrate forces in this area and, in 2-3 months, replicate what they did in Bakhmut. The AFU would defend it as long as possible, and in a critical situation, they might retreat to preserve Ukrainian soldiers’ lives. It is worth noting that he did not explicitly state that Avdiivka would necessarily be captured during or by the spring.

Forecasting the situation’s developments is further complicated by pending decisions on military aid in the United States and the European Union, expected in the second half of winter. Additionally, the Verkhovna Rada [parliament] of Ukraine will need to address decisions on further mobilization. Furthermore, by spring, the AFU could receive their first F-16 fighter aircraft.

It is worth noting that in recent months, the RuAF have taken several steps to encircle Avdiivka. The northern flank is situated around Stepove, heading towards Berdychi and Ocheretyne; on the southern flank, they have captured Opytne and Vodiane, advancing towards Sieverne. Attempts to encircle were likely halted by mines, fortifications and AFU strongpoints. The situation increasingly resembles the battle for Bakhmut, captured through systematic advancement with significant losses, involving the destruction of the town by artillery and airstrikes. Additionally, the Avdiivka Coke Plant, which has turned into a formidable strongpoint, remains unconquered.

Zaluzhnyi stated that the discussed plans to mobilize 450,000 to 500,000 people are the goal for 2024. Mobilization will be carried out gradually, considering the current understaffing, the formation of new military units and the forecast of future losses.

It is worth noting that mobilizing such a large number of people in addition to those currently in the combat zone does not make sense unless the issues regarding aid from the US and the European Union are resolved, as new units need to be armed and equipped with vehicles. An alternative option is a scenario in which a new intake is carried out for rotation purposes, demobilizing and sending home those who have been in combat for two years. The option implied in this case remains unknown, as all official statements are very cautious.

After the New Year’s festivities, the Verkhovna Rada is set to discuss the Mobilization Bill. One proposed change is the removal of the "fit for limited military service" category. Individuals with this status would need to reappear before the military medical board to be reclassified as either fit for service or not. Another consideration is the introduction of electronic draft notices, which can be sent via the draftee’s personal account or email. For those who fail to appear before the draft office, proposed restrictions include a ban on traveling abroad, limitations on transactions with movable assets or real estate, restrictions on obtaining driving licenses, limitations on the right to dispose of assets and valuables, refusal to sign credit agreements, and suspension of government benefits and services. The new bill may come into force in early spring of 2024.

Volodymyr Zelenskyy stated that the coming year is expected to see significant growth in domestic defense production. A recent meeting of the Headquarters of the Supreme Commander-in-Chief focused on the production of various drones, including FPV drones and ammunition for them.

The authorities of the Tomsk region have allocated 2.8 billion rubles [$30.5 million] for the year 2024 for the "development of unmanned aircraft systems." This surpasses expenditures for culture (2.5 billion [$27.3 million]), housing and communal services (2.4 billion [$26.2 million]) and agriculture (2.4 billion [$26.2 million]).

Additionally, the 2024 Russian federal budget implies the launch of the national project "Unmanned Aircraft Systems." Andrey Belousov, the First Deputy Prime Minister, will oversee this project, and Denis Manturov, the Deputy Prime Minister and Minister of Industry and Trade, will be the director. The largest funding allocation is planned for 2023, almost 45.5 billion rubles [$496 million], followed by approximately 9.6 billion rubles [$105 million] in 2025 and 8.8 billion rubles [$95.93 million] in 2026. Overall, about 900 billion rubles [$10 billion] are planned to be spent on the entire national project by 2030, with nearly 700 billion rubles [$7.6 billion] allocated from the federal budget, almost 150 billion rubles [$1.6 billion] from regional budgets, and the rest from non-budgetary sources. A significant portion of these funds will likely be misappropriated, similar to the case of the Chinese DesertCross off-road vehicle deliveries. It is also worth noting that some funds will be redirected to this national project from other funds originally allocated for environmental purposes, specifically the elimination of unauthorized landfills in cities.

Izvestia [the News, a Russian pro-Kremlin daily broadsheet newspaper and a news channel], citing a review by the Expert RA agency, reports that 67 Russian regions (approximately 80%) are facing a record shortage of labor resources, despite a low unemployment rate. In some of these regions, the deficit reaches 70-90%. The year 2023 may be a culmination of the expansion of production in Russia, and sustaining such growth rates in the future may become impossible, at least until the end of the war.

Ukrainian and Russian Strikes

• Someone pasted records of crystals at this point:
Material: ZnInF5
Method: DFT, PBE-GGA
State: optimized geometry

Values from the calculation:
**Formation energy from raw total energies**: -2.40 eV/atom

a = 8.832 Å, b = 6.606 Å, c = 7.447 Å
α = 90.00°, β = 114.00°, γ = 90.00°
Space group C2/c (No. 15)
Asymmetric unit:
1 Zn 0.000 0.000 0.000 (multiplicity 4)
2 In 0.000 0.451 0.250 (multiplicity 4)
3 F 0.000 0.118 0.250 (multiplicity 4)
4 F 0.017 0.315 0.962 (multiplicity 8)
5 F 0.247 0.043 0.635 (multiplicity 8)

On Dec. 26, the RuAF hit the railway station in the city of Kherson. According to Zelenskyy, approximately 140 people were waiting for an evacuation train at the station at that time. Consequently, one policeman was killed and two other policemen and two civilians were injured.

In our previous sitrep, we mentioned the downing of Russian Sukhoi Su-34 [Fullback] strike aircraft on Dec. 22. On Dec. 25, pro-Russian milblogger Kirill Fyodorov reported on three pilots killed during the incident. Based on his report, we can conclude that at least two Sukhoi Su-34s were lost, given the typical crew complement of two members. Confirmation of the downing of the third aircraft may come later.

According to Natalia Humeniuk, the Spokeswoman for Ukraine’s Operational Command South, following this successful operation by the AFU, Russian forces have reportedly suspended the use of air-dropped bombs equipped with the Universal Gliding and Correction Module (UMPK) since Dec. 22. An objective assessment of this statement is difficult due to limited information about the intensity of RuAF strikes on Ukrainian military facilities with such bombs prior to this incident. Previous reports primarily focused on strikes on civilian infrastructure, with occasional mentions of targeting objects near the frontline.

In our latest sitrep, we discussed the initiation of criminal cases for state treason against Russians who transferred funds to the AFU. Now, it has been revealed that a man in Chuvashia [Russia’s constituent republic] has been detained on charges of treason for making several transfers to the AFU, totaling up to 30,000 rubles [$330]. It is also reported that he allegedly provided information to a certain nationalist Ukrainian unit.

For Russian residents, the only secure method of participating in such contributions is through non-custodial cryptocurrency wallets, which means the user has full control over them. Alexei Navalny's Anti-Corruption Foundation offers detailed videos and text instructions on their usage.

### Materials data from another source follow
********
Here is an optimized crystal structure of Sr2TaNiS5 from Alexandria. Energies are from PBE.

Cell and atoms, written as POSCAR:
```
Sr2TaNiS5
1.0
1.849 -8.699 0.000
1.849 8.699 0.000
0.000 0.000 12.039
Sr Ta Ni S
4 2 2 10
Direct
0.118 0.882 0.500 Sr
0.121 0.879 0.136 Sr
0.879 0.121 0.636 Sr
0.882 0.118 0.000 Sr
0.191 0.809 0.828 Ta
0.809 0.191 0.328 Ta
0.421 0.579 0.254 Ni
0.579 0.421 0.754 Ni
0.054 0.946 0.853 S
0.294 0.706 0.472 S
0.301 0.699 0.185 S
0.338 0.662 0.821 S
0.493 0.507 0.100 S
0.507 0.493 0.600 S
0.662 0.338 0.321 S
0.699 0.301 0.685 S
0.706 0.294 0.972 S
0.946 0.054 0.353 S
```

Electronic total energy   -107.1 eV per cell
D(E_F)   8.7 states/eV per cell
Raw formation energy   -1.33 eV/atom

* * * * *

one.
VASP calculation (PBE) on NaTi2Cu2 after structural relaxation.

```
NaTi2Cu2
1.0
-3.307 4.896 5.190
1.393 -5.167 5.762
2.356 1.126 0.440
Ti Na Cu
4 2 4
direct
0.343 0.157 0.500 Ti
0.657 0.843 0.500 Ti
0.157 0.657 0.500 Ti
0.843 0.343 0.500 Ti
0.500 0.500 0.000 Na
0.000 0.000 0.000 Na
0.135 0.365 0.000 Cu
0.635 0.135 0.000 Cu
0.365 0.865 0.000 Cu
0.865 0.635 0.000 Cu
```

**Size of the total moment**: 0.000 μB per formula unit

two.
VASP calculation (PBE) on NaTi2Cu2 after structural relaxation.

```
NaTi2Cu2
1.0
7.986 0.000 0.000
0.000 7.986 0.000
0.000 0.000 2.601
Cu Ti Na
4 4 2
direct
0.667 0.833 0.500 Cu
0.833 0.333 0.500 Cu
0.167 0.667 0.500 Cu
0.333 0.167 0.500 Cu
0.627 0.127 0.000 Ti
0.873 0.627 0.000 Ti
0.373 0.873 0.000 Ti
0.127 0.373 0.000 Ti
0.500 0.500 0.000 Na
0.000 0.000 0.000 Na
```

**Size of the total moment**: 0.000 μB per formula unit

Stability ranking, top entry: two; the second entry is 6 meV per atom less favorable.

one.
VASP calculation (PBE) on NaTl3Cu after structural relaxation.

```
NaTl3Cu
1.0
-1.030 2.678 4.834
1.136 -4.709 2.851
5.408 1.499 0.322
Na Tl Cu
1 3 1
direct
0.000 0.000 0.000 Na
0.000 0.500 0.000 Tl
0.000 0.000 0.500 Tl
0.500 0.000 0.000 Tl
0.500 0.500 0.500 Cu
```

**Size of the total moment**: 0.000 μB per formula unit

two.
VASP calculation (PBE) on NaTl3Cu after structural relaxation.

```
NaTl3Cu
1.0
-3.522 -3.825 1.070
2.866 -1.458 4.223
-2.749 3.379 3.033
Tl Na Cu
3 1 1
direct
0.500 0.000 0.000 Tl
0.000 0.500 0.000 Tl
0.000 0.000 0.500 Tl
0.500 0.500 0.500 Na
0.000 0.000 0.000 Cu
```

**Size of the total moment**: 0.000 μB per formula unit

Stability ranking, top entry: two; the second entry is 604 meV per atom less favorable.

one.
VASP calculation (PBE) on Na2Tl2Cu after structural relaxation.

```
Na2Tl2Cu
1.0
7.436 0.000 0.000
0.000 7.436 0.000
0.000 0.000 4.841
Tl Na Cu
4 4 2
direct
0.829 0.329 0.500 Tl
0.171 0.671 0.500 Tl
0.671 0.829 0.500 Tl
0.329 0.171 0.500 Tl
0.145 0.355 0.000 Na
0.645 0.145 0.000 Na
0.855 0.645 0.000 Na
0.355 0.855 0.000 Na
0.000 0.000 0.000 Cu
0.500 0.500 0.000 Cu
```

**Size of the total moment**: 0.000 μB per formula unit

two.
VASP calculation (PBE) on Na2Tl2Cu after structural relaxation.

```
Na2Tl2Cu
1.0
-2.868 6.511 0.487
-2.761 -1.692 6.353
********

Please note that the Dec. 29 sitrep will be the last for this year. The first video of 2024 will be released on Jan. 5, and we will resume regular updates on Monday, Jan. 8.

Additionally, we remind you that we continue to accept questions for our live question-and-answers session on Dec. 29 through our bot or email.